Key insights:
Remember when we thought AI was just about robots doing repetitive tasks? Well, buckle up because we're about to dive into something way cooler. Scientists have been trying to recreate the magic of the human brain in digital form, and what they've come up with is pretty mind-blowing.
The journey from basic neural networks to today's sophisticated language models is like watching a baby learn to walk, then suddenly start doing parkour. Let's break down how these AI brains actually work.
Traditional AI was like a calculator on steroids, good at specific tasks but pretty useless at everything else. GPT models, on the other hand, are more like that friend who seems to know a little bit about everything. The secret sauce? Something called parameters, billions (or even trillions) of them.
Let's look at the evolution:
-- Next to the text, the page also holds data records --
-- begin --
For Sr2TaMnO6, a crystal structure in the Materials Project, relaxed with GGA+U gives the theoretical PXRD pattern in this record (Cu Kα X-rays).
Lines closer than 0.1° are merged.

Crystal structure
```
data_Sr2TaMnO6
_chemical_formula_sum 'Sr16 Ta8 Mn8 O48'
_symmetry_space_group_name_H-M 'I -4 m 2'
_symmetry_Int_Tables_number 119
_symmetry_space_group_name_Hall 'I -4 -2'
_cell_length_a 7.8741
_cell_length_b 7.8741
_cell_length_c 16.7666
_cell_angle_alpha 90.00
_cell_angle_beta 90.00
_cell_angle_gamma 90.00
loop_
_atom_site_label
_atom_site_type_symbol
_atom_site_fract_x
_atom_site_fract_y
_atom_site_fract_z
Sr1 Sr 0.2500 0.2500 0.1250
Ta1 Ta 0.0000 0.0000 0.2497
Ta2 Ta 0.0000 0.5000 0.0001
Mn1 Mn 0.0000 0.0000 0.0000
Mn2 Mn 0.0000 0.0000 0.5000
Mn3 Mn 0.0000 0.5000 0.2500
Mn4 Mn 0.0000 0.5000 0.7500
O1 O 0.0000 0.0000 0.1313
O2 O 0.0000 0.0000 0.3680
O3 O 0.0000 0.2470 0.0002
O4 O 0.0000 0.2469 0.4999
O5 O 0.0000 0.2531 0.2496
O6 O 0.0000 0.2531 0.7504
O7 O 0.0000 0.5000 0.1185
O8 O 0.0000 0.5000 0.6182
```

Largest 10 diffraction maxima, sorted by position, 2θ = 15–90°:
| 2theta | d/Å | intensity | h k l |
| --- | --- | --- | --- |
| 19.1 | 4.638 | 34 | 1 1 2 |
| 31.2 | 2.870 | 100 | 2 0 4 |
| 32.2 | 2.784 | 46 | 2 2 0 |
| 37.7 | 2.387 | 13 | 3 1 2 |
| 43.2 | 2.096 | 18 | 0 0 8 |
| 46.1 | 1.969 | 30 | 4 0 0 |
| 54.8 | 1.674 | 20 | 2 2 8 |
| 56.7 | 1.623 | 37 | 4 2 4 |
| 65.0 | 1.435 | 20 | 4 0 8 |
| 67.3 | 1.392 | 12 | 4 4 0 |

----------

The following is a simulated XRD peak list of Mn4Be3Ge3SeO12. It was derived from a PBE+U-relaxed structure, using CuKα.

Peak list (10 most intense, 5 to 70 degrees two-theta, by intensity)
25.32°, rel. 100, hkl 2 1 1
39.12°, rel. 43, hkl 3 2 1
23.08°, rel. 38, hkl 2 1 0
44.62°, rel. 31, hkl 3 3 0
66.96°, rel. 18, hkl 5 3 2
60.82°, rel. 15, hkl 4 4 0
48.42°, rel. 13, hkl 4 2 1
47.18°, rel. 13, hkl 4 2 0
37.64°, rel. 13, hkl 3 2 0
64.95°, rel. 12, hkl 6 0 0

Structure:
```
46
Lattice="8.6153 0.0000 0.0000 0.0000 8.6153 0.0000 0.0000 0.0000 8.6153" Properties=species:S:1:pos:R:3 pbc="T T T"
Mn 1.4997 1.4997 1.4997
Mn 1.4997 7.1156 7.1156
Mn 2.8079 2.8079 5.8073
Mn 2.8079 5.8073 2.8079
Mn 5.8073 2.8079 2.8079
Mn 5.8073 5.8073 5.8073
Mn 7.1156 1.4997 7.1156
Mn 7.1156 7.1156 1.4997
Be 0.0000 2.1538 4.3076
Be 0.0000 6.4615 4.3076
Be 2.1538 4.3076 0.0000
Be 4.3076 0.0000 2.1538
Be 4.3076 0.0000 6.4615
Be 6.4615 4.3076 0.0000
Ge 0.0000 4.3076 2.1538
Ge 0.0000 4.3076 6.4615
Ge 2.1538 0.0000 4.3076
Ge 4.3076 2.1538 0.0000
Ge 4.3076 6.4615 0.0000
Ge 6.4615 0.0000 4.3076
Se 0.0000 0.0000 0.0000
Se 4.3076 4.3076 4.3076
O 0.7526 3.0371 5.4821
O 0.7526 5.5782 3.1332
O 1.1744 1.2706 3.5550
O 1.1744 7.3447 5.0603
O 1.2706 3.5550 1.1744
O 1.2706 5.0603 7.4408
O 3.0371 3.1332 7.8627
O 3.0371 5.4821 0.7526
O 3.1332 0.7526 5.5782
O 3.1332 7.8627 3.0371
O 3.5550 1.1744 1.2706
O 3.5550 7.4408 7.3447
O 5.0603 1.1744 7.3447
O 5.0603 7.4408 1.2706
O 5.4821 0.7526 3.0371
O 5.4821 7.8627 5.5782
O 5.5782 3.1332 0.7526
-- stop --
-- The data records stop here --
Imagine teaching a child to complete sentences. That's basically what happens during training, but at a massive scale. The model reads through mountains of text from the internet, books, and other sources, constantly trying to predict what word comes next.
When it makes a mistake, it adjusts its internal connections (parameters) to do better next time. It's like having a super-dedicated student who never gets tired of practicing.
Before we dive deeper into transformers, we need to understand how these models read text. They don't actually understand words like we do, they work with tokens.
A token can be a word, part of a word, or even a single character. Think of it like breaking down a sentence into bite-sized pieces that the AI can digest. For example, "ChatGPT" might be broken down into "Chat" and "GPT" as separate tokens.
Each token gets converted into a number (token ID) and then into a vector, which is basically its position in a high-dimensional space. If this sounds confusing, imagine organizing words in a giant 3D space where similar words cluster together.
Now we're getting to the really cool part. Self-attention is what makes these models actually understand context, and it's pretty clever.
When you read a sentence, you automatically understand which words are related to each other. Self-attention lets the model do the same thing by weighing the relationships between all words in a sentence. For example, in "The cat sat on the mat," it understands that "sat" is more strongly connected to "cat" than to "mat."
Multi-head attention is like having multiple people read the same text, each focusing on different aspects. One might focus on grammar, another on subject-verb relationships, and another on context. The model combines all these perspectives to understand the text better.
Unrelated to this article: data records:
<<<
# 1
The following is a calculated XRD peak list of Sr3Li2Mg2Tl4. It was derived from a DFT-relaxed cell (PBE, Alexandria), using Cu Kα X-rays.

Main lines, by intensity (10 to 90 degrees two-theta):
| two_theta | I/Imax |
| --- | --- |
| 23.31 | 100.0 |
| 33.82 | 63.8 |
| 32.57 | 49.1 |
| 41.48 | 22.8 |
| 54.55 | 20.8 |
| 47.66 | 18.7 |

Structural model:
a = 5.301 Å, b = 5.301 Å, c = 13.733 Å
α = 90.00°, β = 90.00°, γ = 120.00°
Positions (direct):
Sr 0.000 0.000 0.000
Sr 0.000 0.000 0.280
Sr 0.000 0.000 0.720
Li 0.333 0.667 0.148
Li 0.667 0.333 0.852
Mg 0.333 0.667 0.582
Mg 0.667 0.333 0.418
Tl 0.333 0.667 0.370
Tl 0.333 0.667 0.850
Tl 0.667 0.333 0.150
Tl 0.667 0.333 0.630

=====

# 2
The following is a calculated XRD peak list of AcCePaO6. It was derived from a DFT-relaxed cell (PBE, Alexandria), using Cu Kα X-rays.

Main lines, by intensity (10 to 90 degrees two-theta):
| two_theta | I/Imax |
| --- | --- |
| 23.80 | 100.0 |
| 29.46 | 98.0 |
| 45.52 | 74.8 |
| 33.90 | 29.8 |
| 57.95 | 21.4 |
| 55.41 | 20.3 |

Structural model:
a = 5.288 Å, b = 5.288 Å, c = 11.100 Å
α = 90.00°, β = 90.00°, γ = 90.00°
Positions (direct):
Ac 0.000 0.000 0.000
Ac 0.500 0.500 0.500
Ce 0.000 0.000 0.333
Ce 0.500 0.500 0.833
Pa 0.000 0.000 0.666
Pa 0.500 0.500 0.166
O 0.171 0.171 0.504
O 0.195 0.195 0.814
O 0.205 0.205 0.179
O 0.295 0.705 0.679
O 0.305 0.695 0.314
O 0.329 0.671 0.004
O 0.671 0.329 0.004
O 0.695 0.305 0.314
O 0.705 0.295 0.679
O 0.795 0.795 0.179
O 0.805 0.805 0.814
O 0.829 0.829 0.504

=====

# 3
The following is a calculated XRD peak list of Ac8TlOs2. It was derived from a DFT-relaxed cell (PBE, Alexandria), using Cu Kα X-rays.

Main lines, by intensity (10 to 90 degrees two-theta):
| two_theta | I/Imax |
| --- | --- |
| 29.14 | 100.0 |
| 31.71 | 97.8 |
| 29.92 | 80.8 |
| 30.16 | 79.1 |
| 26.96 | 72.9 |
| 34.73 | 52.0 |

Structural model:
a = 8.567 Å, b = 8.567 Å, c = 6.137 Å
α = 97.21°, β = 97.21°, γ = 112.86°
Positions (direct):
Ac 0.000 0.000 0.000
Ac 0.053 0.317 0.630
Ac 0.135 0.634 0.208
Ac 0.317 0.053 0.630
Ac 0.453 0.717 0.785
Ac 0.634 0.135 0.208
Ac 0.717 0.453 0.785
Ac 0.776 0.776 0.422
Tl 0.389 0.389 0.209
Os 0.081 0.690 0.709
Os 0.690 0.081 0.709

=====

# 4
The following is a calculated XRD peak list of LaMg2Br6. It was derived from a DFT-relaxed cell (PBE, Alexandria), using Cu Kα X-rays.

Main lines, by intensity (10 to 90 degrees two-theta):
| two_theta | I/Imax |
| --- | --- |
| 29.51 | 100.0 |
| 27.21 | 97.6 |
| 43.09 | 66.9 |
| 31.84 | 55.7 |
| 24.56 | 54.8 |
| 44.48 | 49.7 |

Structural model:
a = 7.490 Å, b = 7.490 Å, c = 11.839 Å
α = 96.54°, β = 96.54°, γ = 31.02°
Positions (direct):
La 0.000 0.000 0.000
Mg 0.284 0.284 0.274
Mg 0.716 0.716 0.726
Br 0.110 0.110 0.232
Br 0.155 0.155 0.611
Br 0.362 0.362 0.089
Br 0.638 0.638 0.911
Br 0.845 0.845 0.389
Br 0.890 0.890 0.768

=====

# 5
The following is a calculated XRD peak list of In2FeSe. It was derived from a DFT-relaxed cell (PBE, Alexandria), using Cu Kα X-rays.
>>>
Here the article continues:
Want to learn more about these fascinating AI models? Check out the ChatGPT Course - Become a Generative AI Prompt Engineer where you'll dive deep into how these models work and how to use them effectively.
**Here the text breaks off for data records:**
┌──
# 1
Theoretical powder X-ray diffraction pattern of SrGa5Au3 for Cu Kα (λ = 1.5418 Å), from the GGA-PBE geometry in Alexandria.
Neutral-atom scattering factors, no anomalous dispersion.

Cell and atoms:
Cell lengths 4.2426, 13.2767, 13.5476 Å; angles 90.00, 90.00, 90.00 degrees
Space group Cmcm (No. 63)
Symmetry-distinct sites (fractional):
1 Sr 0.0000 0.1592 0.2500 (multiplicity 4)
2 Ga 0.0000 0.0000 0.0000 (multiplicity 4)
3 Ga 0.0000 0.1893 0.5677 (multiplicity 8)
4 Ga 0.0000 0.4469 0.1495 (multiplicity 8)
5 Au 0.0000 0.1219 0.7500 (multiplicity 4)
6 Au 0.0000 0.3799 0.5575 (multiplicity 8)

Top 8 peaks for 10 to 90 degrees two-theta, in order of falling intensity:
index  2θ (°)  I_rel
1 1 5  40.06  100
1 3 2  32.07  97
1 5 2  42.31  82
2 0 0  42.62  70
0 2 3  23.83  65
1 1 2  25.67  62
0 4 0  26.86  61
1 1 3  29.66  58

---

# 2
Theoretical powder X-ray diffraction pattern of Be3Re5 for Cu Kα (λ = 1.5418 Å), from the GGA-PBE geometry in Alexandria.
Neutral-atom scattering factors, no anomalous dispersion.

Cell and atoms:
Cell lengths 9.0971, 9.0971, 4.7650 Å; angles 90.00, 90.00, 90.00 degrees
Space group I4/mcm (No. 140)
Symmetry-distinct sites (fractional):
1 Be 0.0000 0.0000 0.2500 (multiplicity 4)
2 Be 0.1702 0.3298 0.0000 (multiplicity 8)
3 Re 0.0000 0.5000 0.2500 (multiplicity 4)
4 Re 0.0733 0.2231 0.5000 (multiplicity 16)

Top 8 peaks for 10 to 90 degrees two-theta, in order of falling intensity:
index  2θ (°)  I_rel
3 2 1  40.43  100
4 1 1  45.29  85
2 1 1  28.86  68
2 2 2  47.49  64
3 1 0  31.09  57
4 2 0  44.54  44
6 3 1  72.44  31
0 0 2  37.76  26

---

# 3
Theoretical powder X-ray diffraction pattern of TiMo4W2 for Cu Kα (λ = 1.5418 Å), from the GGA-PBE geometry in Alexandria.
Neutral-atom scattering factors, no anomalous dispersion.

Cell and atoms:
Cell lengths 4.7009, 18.5750, 2.6182 Å; angles 90.00, 90.00, 90.00 degrees
Space group Cmmm (No. 65)
Symmetry-distinct sites (fractional):
1 Ti 0.0000 0.0000 0.0000 (multiplicity 2)
2 Mo 0.0000 0.1471 0.0000 (multiplicity 4)
3 Mo 0.0000 0.4321 0.5000 (multiplicity 4)
4 W 0.0000 0.2891 0.5000 (multiplicity 4)

Top 8 peaks for 10 to 90 degrees two-theta, in order of falling intensity:
index  2θ (°)  I_rel
1 7 0  38.98  100
1 1 1  39.70  56
2 0 0  38.29  54
1 3 1  42.11  27
1 7 2  85.19  21
0 4 1  39.52  19
3 7 0  69.69  18
0 6 1  45.37  15

---

# 4
Theoretical powder X-ray diffraction pattern of PuIn4Sn for Cu Kα (λ = 1.5418 Å), from the GGA-PBE geometry in Alexandria.
Neutral-atom scattering factors, no anomalous dispersion.

Cell and atoms:
Cell lengths 4.5721, 14.9115, 4.5430 Å; angles 90.00, 90.00, 90.00 degrees
Space group Cmmm (No. 65)
Symmetry-distinct sites (fractional):
1 Pu 0.0000 0.0000 0.0000 (multiplicity 2)
2 In 0.0000 0.1689 0.5000 (multiplicity 4)
3 In 0.0000 0.3349 0.0000 (multiplicity 4)
4 Sn 0.0000 0.5000 0.5000 (multiplicity 2)

Top 8 peaks for 10 to 90 degrees two-theta, in order of falling intensity:
index  2θ (°)  I_rel
1 3 1  33.13  100
0 6 0  36.14  20
└──
**Back to the text:**
For a more detailed look at the technical aspects covered in this article, you can visit Futurise's website or follow them on Twitter.
To see these concepts in action and get an even better understanding, head over to the Leon Petrou YouTube channel where you'll find detailed visual explanations and examples of how transformers work.